Given:
- - -
1.
Density functional theory data (ωB97M-V with the def2-TZVPD basis set) for a molecular structure, C23H61FFeO8.

Geometry as ORCA input:
```
! wB97M-V def2-TZVPD RIJCOSX def2/J DEFGRID3
* xyz 2 7
Fe -1.35 3.71 0.07
C -1.57 -0.53 0.85
C -0.88 0.36 -0.18
O -1.28 1.70 -0.02
H -2.65 -0.36 0.81
H -1.30 -0.13 1.82
H -1.26 -1.57 0.77
H -1.15 0.11 -1.21
H 0.21 0.29 -0.18
F -1.28 3.97 -1.92
C 4.46 1.15 1.32
C 2.95 0.88 1.43
C 2.74 -0.41 2.21
O 2.34 1.96 2.16
H 4.66 2.10 0.81
H 5.01 0.34 0.85
H 4.84 1.35 2.32
H 2.46 0.87 0.45
H 3.23 -0.36 3.19
H 3.22 -1.25 1.71
H 1.71 -0.69 2.41
H 2.57 1.90 3.09
C -0.35 3.19 4.25
C -1.34 2.54 3.16
C -2.68 2.06 3.81
O -1.67 3.49 2.15
H 0.15 2.48 4.90
H -0.80 3.99 4.83
H 0.53 3.63 3.77
H -0.81 1.67 2.76
H -3.26 2.88 4.23
H -2.40 1.39 4.61
H -3.23 1.44 3.11
H -2.06 4.19 2.69
C -3.02 -0.56 -4.00
C -3.76 -0.22 -2.73
C -3.86 1.24 -2.47
O -5.05 -0.78 -2.89
H -2.11 0.03 -4.12
H -3.65 -0.30 -4.85
H -2.76 -1.62 -4.03
H -3.22 -0.70 -1.91
H -2.91 1.74 -2.67
H -3.98 1.38 -1.40
H -4.64 1.74 -3.03
H -5.28 -0.55 -3.79
C -3.08 -4.97 -3.46
C -2.48 -5.11 -1.99
C -1.93 -3.78 -1.54
O -3.51 -5.48 -1.12
H -3.73 -4.11 -3.61
H -3.58 -5.87 -3.81
H -2.27 -4.86 -4.18
H -1.67 -5.83 -1.97
H -2.74 -3.08 -1.31
H -1.22 -3.33 -2.23
H -1.44 -4.02 -0.59
H -4.20 -4.82 -1.06
C 2.63 5.06 0.56
C 1.64 4.34 -0.36
C 2.33 3.45 -1.39
O 0.76 3.71 0.51
H 2.18 5.73 1.30
H 3.35 5.59 -0.06
H 3.26 4.34 1.09
H 1.10 5.14 -0.86
H 1.57 2.90 -1.95
H 2.98 2.71 -0.91
H 2.96 3.99 -2.09
H 1.32 3.13 1.04
C 0.00 -3.50 2.36
C 0.74 -4.14 3.54
C -0.21 -4.63 4.62
O 1.50 -5.27 3.06
H -0.66 -2.69 2.68
H -0.58 -4.21 1.78
H 0.67 -2.99 1.67
H 1.48 -3.47 3.99
H -0.69 -5.55 4.30
H -1.02 -4.04 5.05
H 0.33 -4.86 5.54
H 0.86 -5.87 2.67
C 1.78 0.06 -3.53
C 3.15 0.81 -3.71
C 4.09 0.86 -2.48
O 3.86 0.20 -4.76
H 1.09 0.60 -2.88
H 2.06 -0.93 -3.17
H 1.29 -0.07 -4.49
H 2.96 1.85 -3.98
H 4.64 1.79 -2.41
H 4.79 0.03 -2.45
H 3.53 0.69 -1.56
H 4.57 0.81 -4.98
*
```

highest occupied orbital energy (spin up / spin down)	-0.508 / -0.508	hartree
gap between HOMO and LUMO (spin up / spin down)	8.7 / 2.3	eV

Here are the Löwdin charges for atoms 1 to 2, given in e: 1.131, -0.047



2.
Density functional theory data (ωB97M-V with the def2-TZVPD basis set) for a molecular structure, C23H62AsF6O22S8.

Geometry as ORCA input:
```
! wB97M-V def2-TZVPD RIJCOSX def2/J DEFGRID3
* xyz -1 1
As -1.48 -0.31 -0.67
F -0.46 -0.96 -2.05
F -0.15 -0.34 0.56
F -2.40 0.38 0.64
F -2.82 -0.04 -1.82
F -1.92 -2.02 -0.29
F -0.84 1.31 -1.08
O -0.27 6.33 10.18
S -0.70 6.35 8.77
O -0.09 7.27 7.82
O -0.50 4.82 8.11
C -0.19 4.60 6.74
C 1.34 4.34 6.59
C -2.54 6.65 8.85
H -0.45 5.44 6.08
H -0.51 3.70 6.22
H 1.65 4.25 5.54
H 1.77 3.41 6.96
H 1.89 5.22 6.92
H -2.98 6.41 7.88
H -2.61 7.69 9.17
H -3.00 6.04 9.62
O 5.28 5.24 -7.98
S 4.43 4.38 -8.75
O 3.27 4.95 -9.40
O 5.44 3.70 -9.90
C 4.92 3.51 -11.18
C 5.91 2.66 -11.95
C 4.04 2.72 -7.90
H 4.79 4.52 -11.55
H 3.99 2.94 -11.18
H 6.10 1.78 -11.35
H 6.87 3.18 -11.98
H 5.61 2.26 -12.92
H 5.02 2.64 -7.41
H 3.96 1.91 -8.62
H 3.28 3.06 -7.20
O -3.34 -11.67 -3.86
S -3.63 -11.75 -2.41
O -5.01 -11.96 -2.04
O -2.76 -13.01 -1.69
C -2.95 -13.28 -0.32
C -3.48 -14.66 -0.17
C -2.90 -10.33 -1.48
H -3.70 -12.71 0.24
H -2.04 -13.26 0.28
H -3.44 -14.83 0.91
H -2.78 -15.39 -0.58
H -4.44 -14.83 -0.65
H -1.81 -10.33 -1.42
H -3.12 -10.27 -0.42
H -3.24 -9.39 -1.93
O -6.49 8.09 -5.21
S -5.30 8.84 -5.75
O -5.17 9.17 -7.16
O -5.19 10.24 -4.82
C -6.29 11.17 -4.91
C -5.82 12.58 -5.08
C -3.66 8.03 -5.15
H -6.83 11.16 -3.96
H -7.13 10.91 -5.57
H -6.00 12.98 -6.08
H -4.76 12.76 -4.88
H -6.15 13.38 -4.42
H -3.56 8.06 -4.06
H -2.82 8.59 -5.54
H -3.67 6.95 -5.33
O 8.10 -1.28 2.53
S 8.68 -1.70 1.27
O 9.24 -0.78 0.33
O 9.85 -2.80 1.88
C 10.64 -3.43 0.90
C 11.82 -4.25 1.63
C 7.56 -2.83 0.48
H 11.02 -2.65 0.24
H 10.03 -4.17 0.39
H 11.21 -4.94 2.23
H 12.38 -3.52 2.22
H 12.44 -4.91 1.03
H 6.65 -2.28 0.22
H 7.46 -3.71 1.11
H 8.08 -3.02 -0.46
O -9.14 8.94 3.11
S -8.77 8.23 4.36
O -9.72 7.45 5.13
O -7.41 7.38 4.29
- - -
What to do:
Please copy everything above without altering anything.
Here it is:
1.
Density functional theory data (ωB97M-V with the def2-TZVPD basis set) for a molecular structure, C23H61FFeO8.

Geometry as ORCA input:
```
! wB97M-V def2-TZVPD RIJCOSX def2/J DEFGRID3
* xyz 2 7
Fe -1.35 3.71 0.07
C -1.57 -0.53 0.85
C -0.88 0.36 -0.18
O -1.28 1.70 -0.02
H -2.65 -0.36 0.81
H -1.30 -0.13 1.82
H -1.26 -1.57 0.77
H -1.15 0.11 -1.21
H 0.21 0.29 -0.18
F -1.28 3.97 -1.92
C 4.46 1.15 1.32
C 2.95 0.88 1.43
C 2.74 -0.41 2.21
O 2.34 1.96 2.16
H 4.66 2.10 0.81
H 5.01 0.34 0.85
H 4.84 1.35 2.32
H 2.46 0.87 0.45
H 3.23 -0.36 3.19
H 3.22 -1.25 1.71
H 1.71 -0.69 2.41
H 2.57 1.90 3.09
C -0.35 3.19 4.25
C -1.34 2.54 3.16
C -2.68 2.06 3.81
O -1.67 3.49 2.15
H 0.15 2.48 4.90
H -0.80 3.99 4.83
H 0.53 3.63 3.77
H -0.81 1.67 2.76
H -3.26 2.88 4.23
H -2.40 1.39 4.61
H -3.23 1.44 3.11
H -2.06 4.19 2.69
C -3.02 -0.56 -4.00
C -3.76 -0.22 -2.73
C -3.86 1.24 -2.47
O -5.05 -0.78 -2.89
H -2.11 0.03 -4.12
H -3.65 -0.30 -4.85
H -2.76 -1.62 -4.03
H -3.22 -0.70 -1.91
H -2.91 1.74 -2.67
H -3.98 1.38 -1.40
H -4.64 1.74 -3.03
H -5.28 -0.55 -3.79
C -3.08 -4.97 -3.46
C -2.48 -5.11 -1.99
C -1.93 -3.78 -1.54
O -3.51 -5.48 -1.12
H -3.73 -4.11 -3.61
H -3.58 -5.87 -3.81
H -2.27 -4.86 -4.18
H -1.67 -5.83 -1.97
H -2.74 -3.08 -1.31
H -1.22 -3.33 -2.23
H -1.44 -4.02 -0.59
H -4.20 -4.82 -1.06
C 2.63 5.06 0.56
C 1.64 4.34 -0.36
C 2.33 3.45 -1.39
O 0.76 3.71 0.51
H 2.18 5.73 1.30
H 3.35 5.59 -0.06
H 3.26 4.34 1.09
H 1.10 5.14 -0.86
H 1.57 2.90 -1.95
H 2.98 2.71 -0.91
H 2.96 3.99 -2.09
H 1.32 3.13 1.04
C 0.00 -3.50 2.36
C 0.74 -4.14 3.54
C -0.21 -4.63 4.62
O 1.50 -5.27 3.06
H -0.66 -2.69 2.68
H -0.58 -4.21 1.78
H 0.67 -2.99 1.67
H 1.48 -3.47 3.99
H -0.69 -5.55 4.30
H -1.02 -4.04 5.05
H 0.33 -4.86 5.54
H 0.86 -5.87 2.67
C 1.78 0.06 -3.53
C 3.15 0.81 -3.71
C 4.09 0.86 -2.48
O 3.86 0.20 -4.76
H 1.09 0.60 -2.88
H 2.06 -0.93 -3.17
H 1.29 -0.07 -4.49
H 2.96 1.85 -3.98
H 4.64 1.79 -2.41
H 4.79 0.03 -2.45
H 3.53 0.69 -1.56
H 4.57 0.81 -4.98
*
```

highest occupied orbital energy (spin up / spin down)	-0.508 / -0.508	hartree
gap between HOMO and LUMO (spin up / spin down)	8.7 / 2.3	eV

Here are the Löwdin charges for atoms 1 to 2, given in e: 1.131, -0.047



2.
Density functional theory data (ωB97M-V with the def2-TZVPD basis set) for a molecular structure, C23H62AsF6O22S8.

Geometry as ORCA input:
```
! wB97M-V def2-TZVPD RIJCOSX def2/J DEFGRID3
* xyz -1 1
As -1.48 -0.31 -0.67
F -0.46 -0.96 -2.05
F -0.15 -0.34 0.56
F -2.40 0.38 0.64
F -2.82 -0.04 -1.82
F -1.92 -2.02 -0.29
F -0.84 1.31 -1.08
O -0.27 6.33 10.18
S -0.70 6.35 8.77
O -0.09 7.27 7.82
O -0.50 4.82 8.11
C -0.19 4.60 6.74
C 1.34 4.34 6.59
C -2.54 6.65 8.85
H -0.45 5.44 6.08
H -0.51 3.70 6.22
H 1.65 4.25 5.54
H 1.77 3.41 6.96
H 1.89 5.22 6.92
H -2.98 6.41 7.88
H -2.61 7.69 9.17
H -3.00 6.04 9.62
O 5.28 5.24 -7.98
S 4.43 4.38 -8.75
O 3.27 4.95 -9.40
O 5.44 3.70 -9.90
C 4.92 3.51 -11.18
C 5.91 2.66 -11.95
C 4.04 2.72 -7.90
H 4.79 4.52 -11.55
H 3.99 2.94 -11.18
H 6.10 1.78 -11.35
H 6.87 3.18 -11.98
H 5.61 2.26 -12.92
H 5.02 2.64 -7.41
H 3.96 1.91 -8.62
H 3.28 3.06 -7.20
O -3.34 -11.67 -3.86
S -3.63 -11.75 -2.41
O -5.01 -11.96 -2.04
O -2.76 -13.01 -1.69
C -2.95 -13.28 -0.32
C -3.48 -14.66 -0.17
C -2.90 -10.33 -1.48
H -3.70 -12.71 0.24
H -2.04 -13.26 0.28
H -3.44 -14.83 0.91
H -2.78 -15.39 -0.58
H -4.44 -14.83 -0.65
H -1.81 -10.33 -1.42
H -3.12 -10.27 -0.42
H -3.24 -9.39 -1.93
O -6.49 8.09 -5.21
S -5.30 8.84 -5.75
O -5.17 9.17 -7.16
O -5.19 10.24 -4.82
C -6.29 11.17 -4.91
C -5.82 12.58 -5.08
C -3.66 8.03 -5.15
H -6.83 11.16 -3.96
H -7.13 10.91 -5.57
H -6.00 12.98 -6.08
H -4.76 12.76 -4.88
H -6.15 13.38 -4.42
H -3.56 8.06 -4.06
H -2.82 8.59 -5.54
H -3.67 6.95 -5.33
O 8.10 -1.28 2.53
S 8.68 -1.70 1.27
O 9.24 -0.78 0.33
O 9.85 -2.80 1.88
C 10.64 -3.43 0.90
C 11.82 -4.25 1.63
C 7.56 -2.83 0.48
H 11.02 -2.65 0.24
H 10.03 -4.17 0.39
H 11.21 -4.94 2.23
H 12.38 -3.52 2.22
H 12.44 -4.91 1.03
H 6.65 -2.28 0.22
H 7.46 -3.71 1.11
H 8.08 -3.02 -0.46
O -9.14 8.94 3.11
S -8.77 8.23 4.36
O -9.72 7.45 5.13
O -7.41 7.38 4.29